Ground Zero #1, 1991
In the future, everyday life on an Earth colony planet is quiet and routine…until the day an unexpected and devastating attack from space disrupts it forever. Suddenly, people who lived normal, predictable lives are caught between two brutal forces intent on mutual destruction. One of those forces is from Earth. But which of them is the enemy?
Ground Zero was my third attempt at getting an original comic series out into the world, following the experiences of BROID and Chaser Platoon. There were a number of firsts attached to it, most importantly the speed at which it came together. With my previous comics, all the groundwork had been done long in advance of finding a publisher. This time I started from nothing and got the whole project underway in just a couple months.
All four issues were written and drawn in late ’90 and early ’91, but did NOT all get published. I’ll get to the reason why later. The point at the beginning was just to find out if I could come up with a story quickly enough to turn it into a paying job. One solution was to partner up with Robert Gibson, the writer of the Captain Harlock series. He and I had been friends for years and had good rapport. Plus, we both needed work, so it was a timely partnership.
I had a rough SF story idea titled The Last Blue Eagle. I turned it over to Robert and was amazed to see him quickly write up a 4-issue draft. I added some character drawings and sent it to our editor at Malibu. He passed, saying it would be “too hard to sell.” (Translation: he didn’t feel like being innovative.) So into the “dead vault” it went. This turned out to be a blessing; I pulled it back out in 2020 and started developing it further. It’s now 100 times better. You’ll see when it gets here.
Robert had other ideas, and we pitched one of them to some indie publishers, but it also fizzled. I didn’t know where else to turn, but then my subconscious came to the rescue. One night I had a dream about cyborg soldiers that put a new idea in my head. When I woke up, that idea was still there. I wrote down what I remembered about it, and BAM. A story was born. The working title was Independence Colony. I wrote a summary, pitched it to the Malibu editor in October 1990 as my take on a Schwarzenegger action movie, and he liked it. Just like that, I was back in the game.
As it moved forward, I changed the title to Ground Zero. I also had to change my production pattern. I was penciling, lettering, AND inking Captain Harlock now, so I couldn’t finish an issue in two weeks as I’d done before. I needed four. Therefore, any second project had to be done “after hours” at a rate of one page a night.
With BROID and Chaser Platoon, scripting and thumbnailing had been done much earlier. With Ground Zero, I had to start from scratch. I hand-wrote scripts for myself, plugging in sketches wherever a scene or camera angle popped into my head. This allowed me to whip out thumbnails much faster than before and then get right into full-size mode. Prior to this, scripting and thumbnailing were always done together in a single pass. This new approach showed me how much faster I could go if I focused on one at a time, and I’ve done it that way ever since.
These calculated molecules were left in the text by mistake:
+++
Record 1
The following is a DFT calculation (ωB97M-V/def2-TZVPD) of a molecular structure, C6H15ClErI2N2O2P in a non-equilibrium geometry.

Results
* 2S+1: 4
* net charge: +2
* relative energy (zero: lowest compared OMol25 entry of this formula, charge and spin): 0.000 eV

Each line ends with the Mulliken spin population.
Geometry (Å):
I  -1.421  -2.022  -0.585  0.4357
I  -1.147  2.053  -0.521  -0.4675
Er  0.997  -0.077  0.406  3.0329
P  0.358  0.012  -2.443  -0.0169
C  -1.297  0.010  -3.244  -0.0020
C  1.093  1.440  -3.322  -0.0064
H  2.121  -1.582  -2.919  -0.0008
H  1.209  -1.102  -4.390  0.0010
H  0.511  -2.290  -3.232  -0.0011
C  1.125  -1.390  -3.335  0.0019
H  2.085  1.642  -2.904  0.0010
H  1.172  1.165  -4.381  -0.0028
H  -1.145  -0.002  -4.325  0.0000
H  -1.859  0.895  -2.950  -0.0003
H  0.458  2.322  -3.196  0.0007
H  -1.864  -0.870  -2.942  0.0013
C  -2.649  0.039  -0.008  0.0246
O  -3.806  -0.002  0.031  0.0151
Cl  3.379  0.019  0.124  -0.0116
C  0.891  0.767  5.071  0.0000
N  -0.201  -0.101  4.637  0.0000
C  -0.391  -0.597  3.410  0.0020
N  -1.471  -1.388  3.200  -0.0001
O  0.398  -0.340  2.402  -0.0060
H  1.363  1.211  4.181  0.0001
H  1.604  0.182  5.676  0.0000
H  0.464  1.543  5.724  0.0000
H  -0.908  -0.411  5.306  -0.0001
H  -1.593  -1.796  2.271  -0.0010
H  -2.032  -1.641  4.007  0.0002



Record 2
The following is a DFT calculation (ωB97M-V/def2-TZVPD) of a single C19H24N6O molecule in a non-equilibrium geometry.

Results
* 2S+1: 1
* net charge: 0
* relative energy (zero: lowest compared OMol25 entry of this formula, charge and spin): 0.241 eV

Each line ends with the Löwdin charge.
Geometry (Å):
O  -2.324  1.757  -0.928  0.0380
C  -2.253  0.584  -0.562  -0.3779
N  -3.298  -0.001  0.045  -0.0325
C  -3.423  -1.359  0.534  -0.1674
C  -4.901  -1.488  0.899  -0.1656
H  -5.478  -1.791  0.024  0.1120
C  -5.279  -0.065  1.303  -0.1674
C  -4.500  0.775  0.299  -0.1428
H  -5.060  0.905  -0.635  0.1308
H  -4.228  1.767  0.666  0.1228
H  -4.931  0.141  2.316  0.1128
H  -6.350  0.120  1.256  0.1086
H  -5.066  -2.214  1.693  0.1082
H  -2.781  -1.500  1.410  0.1188
H  -3.106  -2.075  -0.225  0.1114
C  -1.030  -0.211  -0.773  -0.1213
C  0.077  0.199  -1.513  -0.1249
N  0.964  -0.837  -1.443  0.0719
C  2.196  -1.022  -1.980  -0.0431
C  2.855  -2.191  -1.774  -0.0745
C  2.271  -3.218  -1.001  -0.0931
C  1.036  -3.042  -0.449  -0.0013
C  0.358  -1.834  -0.671  -0.2678
N  -0.836  -1.456  -0.267  0.1596
H  0.552  -3.794  0.150  0.1163
H  2.812  -4.139  -0.852  0.1048
H  3.834  -2.328  -2.201  0.1077
H  2.611  -0.218  -2.568  0.1197
C  0.354  1.502  -2.197  -0.1484
N  0.343  2.663  -1.318  -0.0555
H  -0.634  2.845  -1.090  0.0804
C  1.080  2.499  -0.076  -0.2332
C  2.593  2.499  -0.304  -0.1564
H  2.896  3.470  -0.694  0.1158
H  2.866  1.738  -1.034  0.0920
C  3.358  2.201  0.990  -0.1386
N  3.164  0.838  1.406  -0.1755
C  2.233  0.352  2.250  -0.0885
C  2.392  -1.014  2.281  -0.0697
C  3.459  -1.258  1.408  -0.1782
+++
Another beneficiary was Steve Krueger, who had been my steadfast inker on both BROID and Chaser Platoon. He signed on again for Ground Zero, this time expanding his range with grey wash tones. He would ink all the line work and then paint in all the light and shadows. The end product was naunced and gorgeous, but all the subtlety was lost with the too-dark printing and sub-standard paper that was typical of Malibu (sample above). Fortunately, you won’t see any of those deficits below. Every page finally looks as good as Steve intended.
With all of that out of the way, here’s issue 1 of 4. The rest will follow!
Issue 1 production period
Penciling: December 1990
Inking: April/May 1991
Publication: October 1991